18 Converged Application Server Debugging and Tuning

Someone pasted records of crystals at this point >
........
PuGa after structural relaxation. Source: Alexandria via LeMat-Bulk, functional GGA-PBE.

Energy of formation in meV/atom: -330

abc: 6.2107 6.2107 6.2107
angles: 117.98 117.98 93.53
Each line ends with the local moment (μB).
Atoms (fractional coordinates):
Pu 0.3005 0.3005 0.0000  5.35
Ga 0.7901 0.2099 0.0000  -0.07
Ga 0.2099 0.2099 0.4197  -0.07
Ga 0.7901 0.7901 0.5803  -0.07
Pu 0.6995 0.6995 0.0000  5.35
Ga 0.2099 0.7901 0.0000  -0.07
Pu 0.7500 0.2500 0.5000  5.33
Pu 0.2500 0.7500 0.5000  5.33

SrTl2Br after structural relaxation. Source: Alexandria via LeMat-Bulk, functional GGA-PBE.

Formation energy from raw total energies in eV/atom: -0.60
Energy relative to the lowest polymorph listed for this composition in eV/atom: 0.126

abc: 6.5990 6.5990 6.5990
angles: 144.12 126.19 66.37
Atoms (fractional coordinates):
Br 0.4787 0.4787 0.0000
Sr 0.2713 0.7713 0.5000
Tl 0.0073 0.0073 0.0000
Tl 0.7426 0.2426 0.5000

NdYTm2 after structural relaxation. Source: Alexandria via LeMat-Bulk, functional GGA-PBE.

Energy relative to the lowest polymorph listed for this composition in eV/atom: 0.019
Energy of formation in meV/atom: 28

abc: 5.0112 5.0420 5.0420
angles: 90.00 90.00 90.00
Atoms (fractional coordinates):
Nd 0.5000 0.5000 0.5000
Y 0.5000 0.0000 0.0000
Tm 0.0000 0.0000 0.5000
Tm 0.0000 0.5000 0.0000

Copy entry 3 word for word.
NdYTm2 after structural relaxation. Source: Alexandria via LeMat-Bulk, functional GGA-PBE.

Energy relative to the lowest polymorph listed for this composition in eV/atom: 0.019
Energy of formation in meV/atom: 28

abc: 5.0112 5.0420 5.0420
angles: 90.00 90.00 90.00
Atoms (fractional coordinates):
Nd 0.5000 0.5000 0.5000
Y 0.5000 0.0000 0.0000
Tm 0.0000 0.0000 0.5000
Tm 0.0000 0.5000 0.0000

* * * * *

# 1
Computed, not measured: a relaxed structure of Tb2GdCu4Sn4 at the PBE-GGA level of DFT.

```
data_Tb2GdCu4Sn4
_space_group_name_H-M_alt 'I m m m'
_space_group_IT_number 71
_space_group_name_Hall '-I 2 2'
_cell_length_a 4.4794
_cell_length_b 6.9609
_cell_length_c 14.7726
_cell_angle_alpha 90.00
_cell_angle_beta 90.00
_cell_angle_gamma 90.00
loop_
_atom_site_label
_atom_site_fract_x
_atom_site_fract_y
_atom_site_fract_z
Tb1 0.0000 0.0000 0.1314
Gd1 0.0000 0.5000 0.0000
Cu1 0.0000 0.1876 0.3298
Sn1 0.0000 0.2980 0.5000
Sn2 0.0000 0.5000 0.2164
```

---

# 2
Computed, not measured: a relaxed structure of RbTlZnSn at the PBE-GGA level of DFT.

```
data_RbTlZnSn
_space_group_name_H-M_alt 'A m m 2'
_space_group_IT_number 38
_cell_length_a 5.6394
_cell_length_b 12.6488
_cell_length_c 7.7360
_cell_angle_alpha 90.00
_cell_angle_beta 90.00
_cell_angle_gamma 90.00
loop_
_space_group_symop_operation_xyz
'x,y,z'
'-x,-y,z'
'-x,y,z'
'x,-y,z'
'x,y+1/2,z+1/2'
'-x,-y+1/2,z+1/2'
'-x,y+1/2,z+1/2'
'x,-y+1/2,z+1/2'
loop_
_atom_site_label
_atom_site_fract_x
_atom_site_fract_y
_atom_site_fract_z
Rb1 0.0000 0.1934 0.0000
Tl1 0.5000 0.1369 0.3163
Zn1 0.2435 0.0000 0.6658
Sn1 0.0000 0.0000 0.3652
Sn2 0.5000 0.0000 0.9517
```

---

# 3
........

This chapter describes how to debug and tune Oracle Communications Converged Application Server.

Debugging Issues in the Runtime Environment

At times, issues can arise in your runtime environment such as when a call session fails or a server fails because the server configuration did not load correctly. You can resolve the issues in the runtime environment with the help of the debug attributes that Converged Application Server supports.

About the Runtime Debug Process

When you encounter an issue in the runtime environment, review the debug attributes that Converged Application Server supports in the Administration Console. To further diagnose an issue, select one or more of the relevant debug attributes that would help to reproduce the scenario.

You can isolate the debug process by enabling the selected debug attributes in one server only. Or you can attempt to view the behavior by enabling the selected attributes in all servers.

After enabling the relevant debug attributes in the Administration Console, rerun the scenario.

By default, Converged Application Server prints the debug log information to standard output stream, stdout. To parse the debug information, pipe the stdout data to a file. When the issue is resolved, be sure to disable the debug flag settings in the Administration Console. You can redirect the Java virtual machine (JVM) output to a log file. For more information, see the description about "Redirecting JVM Output" in Oracle Fusion Middleware Configuring Log Files and Filtering Log Messages for Oracle WebLogic Server.

If you pipe stdout content to a file, manage the rotated log files in your production or development environment. For more information about rotating log files, see "Configuring Log File Rotation" in Converged Application Server Developer's Guide.


Debug flags can result in gigabytes of log output in heavy traffic cases. Make sure that you use targeted debug flags as described in Table 18-1.

Revert the setting for the debug attributes as soon as the issue you are tracing is reproduced.

About the Debug Attributes Configuration Method

Use only the Administration Console to enable or disable debug attributes in Converged Application Server.

Converged Application Server provides the serverdebug.xml file for your reference. This file is located in the domain_home/config/custom directory, where domain_home represents the directory in which Converged Application Server domain is created.


  • Do not modify the serverdebug.xml file manually.

  • Do not enter a debug setting as a startup command option.

Recommended Debug Log Settings

Table 18-1 lists the various scenarios that you may encounter and the recommended debug attributes to select and enable in the Administration Console for information on debugging each issue.

Table 18-1 Converged Application Server Debug Attributes

Debug Attribute Issues for which this Attribute Provides Information


Details about Sip Server startup and the loading of its modules


Application router issues


Call state issues


Information related to Oracle Coherence


Concurrent service issues


Application deployment issues


Diameter protocol handling within the container issues


Issues related to Domain Naming Service

********
VASP calculation (PBE) on a geometry-optimized NaZnPb2C structure.

Cell: 5.824 5.824 3.682 Å, 90.00 90.00 90.00°
Fractional positions:
Na 0.000 0.000 0.000
Zn 0.500 0.500 0.500
Pb 0.000 0.500 0.500
Pb 0.500 0.000 0.500
C 0.500 0.500 0.000

energy above the most stable polymorph in this dataset	0	meV per atom
magnetic moment	0.00	μB per cell
density of states at the Fermi level	2.275	states/eV/f.u.
SG	P4/mmm (123)

---

VASP calculation (PBE) on a geometry-optimized NaZnPbC2 structure.

Cell: 4.158 4.158 5.404 Å, 90.00 90.00 90.00°
Fractional positions:
Na 0.000 0.000 0.000
Zn 0.500 0.500 0.500
Pb 0.500 0.500 0.000
C 0.000 0.500 0.500
C 0.500 0.000 0.500

magnetic moment	0.00	μB per cell
density of states at the Fermi level	2.986	states/eV/f.u.
SG	P4/mmm (123)

---

VASP calculation (PBE) on a geometry-optimized NaPdC3 structure.

Cell: 4.063 4.063 4.063 Å, 90.00 90.00 90.00°
Fractional positions:
Na 0.000 0.000 0.000
Pd 0.500 0.500 0.500
C 0.000 0.000 0.500
C 0.000 0.500 0.000
C 0.500 0.000 0.000

energy above the most stable polymorph in this dataset	1266	meV per atom
magnetic moment	0.00	μB per cell
density of states at the Fermi level	3.846	states/eV/f.u.
SG	Pm-3m (221)

---

VASP calculation (PBE) on a geometry-optimized Na2Pd2C structure.

Cell: 8.489 8.489 8.489 Å, 155.66 155.66 34.69°
Fractional positions:
Na 0.091 0.091 0.000
Na 0.909 0.909 0.000
Pd 0.250 0.750 0.500
Pd 0.750 0.250 0.500
C 0.500 0.500 0.000

energy above the most stable polymorph in this dataset	0	meV per atom
magnetic moment	1.58	μB per cell
density of states at the Fermi level	3.892	states/eV/f.u.
SG	I4/mmm (139)

---

VASP calculation (PBE) on a geometry-optimized NaPd3C structure.

Cell: 4.639 4.639 4.639 Å, 90.00 90.00 90.00°
Fractional positions:
Na 0.000 0.000 0.000
Pd 0.000 0.000 0.500
Pd 0.000 0.500 0.000
Pd 0.500 0.000 0.000
C 0.500 0.500 0.500

energy above the most stable polymorph in this dataset	2259	meV per atom
magnetic moment	1.09	μB per cell
density of states at the Fermi level	5.017	states/eV/f.u.
SG	Pm-3m (221)

---

VASP calculation (PBE) on a geometry-optimized Na2Pd2C structure.

Cell: 6.102 6.102 4.339 Å, 90.00 90.00 90.00°
Fractional positions:
Na 0.142 0.358 0.000
Na 0.358 0.858 0.000
Na 0.642 0.142 0.000
Na 0.858 0.642 0.000
Pd 0.178 0.678 0.500
Pd 0.322 0.178 0.500
Pd 0.678 0.822 0.500
Pd 0.822 0.322 0.500
C 0.000 0.000 0.000
C 0.500 0.500 0.000

energy above the most stable polymorph in this dataset	107	meV per atom
magnetic moment	0.00	μB per cell
density of states at the Fermi level	2.498	states/eV/f.u.
SG	P4/mbm (127)

---

VASP calculation (PBE) on a geometry-optimized NaPdC3 structure.

Cell: 4.152 4.152 4.152 Å, 90.00 90.00 90.00°
Fractional positions:
Na 0.000 0.000 0.000
Pd 0.500 0.500 0.500
C 0.000 0.500 0.500
C 0.500 0.000 0.500
C 0.500 0.500 0.000

energy above the most stable polymorph in this dataset	0	meV per atom
magnetic moment	0.89	μB per cell
density of states at the Fermi level	4.810	states/eV/f.u.
SG	Pm-3m (221)

---
********


Filter module that filters SIP message issues


Geo redundancy handling issues


Sip (message) header issues


Issues related to call state history


Issues related to diagnostics, SIP or Diameter message properties


Message handler issues


Security-related issues


Issues related to SIP servers


Issues related to the loading of a server configuration


Issues related to SIP requests


Issues related to SIP sessions


Performance and garbage collection issues


Timer statistics related to collections performance


Call state and other cache issues


Internal timer issues


Issues related to Sip traffic information


Issues related to client and server transactions created within the container to process the call flow


Transport-level information for UDP, TCP, or TLS protocols.


Issues related to Enterprise JavaBeans (EJB) business object wrapping

Issues that Require the Enabling of Multiple Debug Attributes

Several issues require the enabling of multiple flags. The most common issues are described here.

SIP Specific Issues Involving Calls

In general for any SIP specific issue involving calls, enable the following debug flags on the engine servers and retrieve the server and stdout logs:

  • wlss.Transaction

  • wlss.SipSession

Transport-level Issues

In general for transport-level issues, enable the following debug flags on the engine servers and retrieve the server and stdout logs:

  • wlss.Transport

  • wlss.SipSession

Server Does not Process SIP Messages

For SIP specific issues, a Wireshark trace indicates that a SIP message reached the server but the message was not processed. Enable the following debug flags on the engine servers and retrieve the server and stdout logs:

  • wlss.Admin

  • wlss.MHDebug

  • wlss.Transaction

  • wlss.SipSession

Locking and Timer-related Issues

For locking and timer-related issues, enable following debug flags in combination or one at a time:

  • wlss.CallState

  • wlss.SipEngine

  • wlss.Timer

Message Validation Issues

For message handling details, enable following debug flags in combination or one at a time:

  • wlss.SipRequest

  • wlss.Headers

Enabling the Runtime Debug Attributes

To debug and resolve issues at run time, you can enable the appropriate debug attributes for one or all servers through the Converged Application Server Administration Console.

To set the debug attributes through the Administration Console:

  1. Use your browser to access the URL:


    where address is the Administration Server's listen address and port is the listen port.


    The default Administration Console port for Converged Application Server is 7001.
  2. Select the Sip Server node in the left pane.

    The right pane of the console provides two levels of tabbed pages that are used for configuring and monitoring Converged Application Server.

  3. Select the Server Debug tab under Configuration.

  4. In the List of Servers in the Domain table, click on the name of the server.

    The Server debug attributes table appears.

  5. Select the check box next to the debug attribute that you want to enable or disable. For information about the attributes, see "Recommended Debug Log Settings".

  6. From the command buttons above or below the table, do one of the following:

    • To enable the selected debug attributes in the selected server, click Enable.

    • To disable the selected debug attributes in the selected server, click Disable.

    • To enable the selected debug attributes in all servers, click Enable in all Servers.

    • To disable the selected debug attributes in all servers, click Disable in all Servers.

For more information, see the description about "Define debug settings" in Oracle Fusion Middleware Oracle WebLogic Server Administration Console Online Help.

Server Performance Tuning Recommendations

The following recommendations can help improve Converged Application Server performance.

Manage SIP Application Session Timeout

To prevent a caller or callee from being logged out during a session, make sure that the SIP application session timeout is conservatively set based upon the upper bound of a call duration. To set the session timeout, add the following entry to the sip.xml, where n determines the timeout in minutes:


The session timeout is set to 3 minutes by default. As a rule of thumb, if the maximum call duration is, for example, 3 minutes, a rational setting for the session timeout would be 5 to 7 minutes.

Max Application Session Timeout

While the SIP application session timeout is dictated by the session-timeout element in sip.xml as described above, the maximum application session lifetime is configured at the container level by the max-application-session-lifetime element in sipserver.xml. The max-application-session-lifetime element essentially limits the maximum value a deployer can set for the session-timeout element in sip.xml. Configuring this element helps resource management by ensuring that a deployer is forced to set a timeout value within specific boundaries. If a value is not specified for max-application-session-lifetime, a deployer can set any value in sip.xml.

Specifying the Minimum Thread Pool Size

Depending upon the number of concurrent users for your environment, you should adjust the value of the server parameter SelfTuningThreadPoolMinSize.

The self-tuning thread pools start with a default size, which grows and shrinks automatically as required. The default size for the administration server is 15, and 100 for engines in each cluster. You can increase the number of threads to improve throughput, but the minimum will never fall below the default. However, an excessive number of threads increases memory use, and could cause garbage collection related performance issues. Oracle recommends 100 as a working maximum. If you have a low number of concurrent users, you can use a lower value.

To configure SelfTuningThreadPoolMinSize:

  1. Use your browser to access the URL http://address:port/console where address is the Administration Server's listen address and port is the listen port.


    The default Administration Console port for Converged Application Server is 7001.
  2. If your domain is running in Production mode, click Lock & Edit.

  3. Expand the Environment node in the left pane and then, select Servers.

    The Summary of Servers page appears.

  4. Select the Configuration tab. Then, select the server name from the Servers table.

    The Settings for Server_name page appears.

  5. Select the Tuning subtab and expand the Advanced pane at the bottom.

  6. Enter a value for Self Tuning Thread Minimum Pool Size.

  7. Click Save to save your configuration changes.

  8. If your domain is running in Production mode, click Activate Changes.

  9. Restart the server.

Files for Troubleshooting

The following Converged Application Server log and configuration files are frequently helpful for troubleshooting problems. Your technical support contact generally requests the following files from you:

  • domain_home/config/custom/coherence.xml

  • domain_home/config/coherence/Coherence-Default/Coherence-Default.xml

  • domain_home/config/coherence/Coherence-Default/Custom-Default.xml

  • domain_home/config/config.xml

  • domain_home/config/custom/sipserver.xml

  • domain_home/server_name/*.log (Server and message logs)

  • Located in the /WEB-INF subdirectory of the application

  • Located in the /WEB-INF subdirectory of the application

By default, domain_home represents the directory in which Converged Application Server domain is created and server_name is the name of the server.

General information that can help the technical support team includes:

  • The specific versions of:

    • Converged Application Server

    • Java SDK

    • Operating System

  • Thread dumps for hung Converged Application Server processes

  • Network analyzer logs